Acupuncture MRI imaging pioneer Dr. Joie Pierce Jones has died at the age of 72. His revolutionary work led to the first scientific evidence of the existence of acupuncture points and their effects on the brain. Dr. Jones had a distinguished career in the medical applications of ultrasound technology and developed several new ultrasonic imaging techniques for the medical field. Dr. Jones also served as a faculty member of Case Western University (Cleveland, Ohio) and at the University of California, Irvine as a professor of radiological sciences.
Dr. Jones’ impact on acupuncture research is nothing short of revolutionary. Together with Dr. Young Bae, their team was able to use MRI technology to map the specific effects of acupuncture on the brain. Dr. Bae is both an acupuncturist and holds a Ph.D. in high energy physics from the University of California, Berkley. Dr. Jones received his Ph.D. studying underwater acoustics at Brown University.
Between two parts of the page: crystal structures.
┌──
The following is a theoretical X-ray powder pattern of Al2Au3. It was derived from a crystal structure in Alexandria, relaxed with GGA-PBE, using Cu Kα X-rays.
Kinematic intensities with the Lorentz-polarization factor, no thermal factor.

Main lines, most intense first (2θ from 10° to 90°):
2θ (°)	I_rel	h k l
40.3	100	3 1 2
31.3	68	2 1 1
28.1	56	1 1 1
31.0	47	3 0 2
40.4	39	1 1 3
40.6	37	0 0 4

Structure:
```
data_Al2Au3
_cell_length_a 11.358
_cell_length_b 3.562
_cell_length_c 8.882
_cell_angle_alpha 90.00
_cell_angle_beta 90.00
_cell_angle_gamma 90.00
_symmetry_space_group_name_H-M 'P n m a'
_symmetry_Int_Tables_number 62
loop_
_symmetry_equiv_pos_as_xyz
'x,y,z'
'-x,-y,-z'
'-x+1/2,-y,z+1/2'
'x+1/2,y,-z+1/2'
'x+1/2,-y+1/2,-z+1/2'
'-x+1/2,y+1/2,z+1/2'
'-x,y+1/2,-z'
'x,-y+1/2,z'
loop_
_atom_site_label
_atom_site_type_symbol
_atom_site_fract_x
_atom_site_fract_y
_atom_site_fract_z
Al1 Al 0.042 0.250 0.153
Al2 Al 0.188 0.250 0.429
Au1 Au 0.016 0.750 0.372
Au2 Au 0.131 0.250 0.886
Au3 Au 0.224 0.750 0.651
```

* * * * *

Starting from a DFT-relaxed cell (PBE, Alexandria), the PXRD pattern of LaPm4Nd3 was simulated for copper Kα.
Intensities are scaled so that the largest is 100.

Structure:
a b c (Å): 10.412 7.346 7.348
angles (deg): 90.00 90.00 90.00
Atoms (fractional coordinates):
La (0.000, 0.000, 0.000)
La (0.500, 0.000, 0.500)
Pm (0.000, 0.000, 0.500)
Pm (0.000, 0.500, 0.000)
Pm (0.250, 0.251, 0.250)
Pm (0.250, 0.749, 0.750)
Pm (0.500, 0.000, 0.000)
Pm (0.500, 0.500, 0.500)
Pm (0.750, 0.251, 0.250)
Pm (0.750, 0.749, 0.750)
Nd (0.000, 0.500, 0.500)
Nd (0.250, 0.251, 0.750)
Nd (0.250, 0.749, 0.250)
Nd (0.500, 0.500, 0.000)
Nd (0.750, 0.251, 0.750)
Nd (0.750, 0.749, 0.250)

Main lines, by angle (5° ≤ 2θ ≤ 70°):
d [Å], Position (°2θ), intensity
3.001, 29.77, 100.0
2.599, 34.51, 50.7
1.838, 49.60, 36.4
1.568, 58.90, 29.0
1.567, 58.96, 14.4
1.501, 61.82, 12.5

=====

Starting from a DFT-relaxed cell (PBE, Alexandria), the PXRD pattern of La2PmPr2Nd was simulated for copper Kα.
Intensities are scaled so that the largest is 100.

Structure:
a b c (Å): 7.208 5.880 10.154
angles (deg): 90.00 90.00 90.00
Atoms (fractional coordinates):
La (0.000, 0.000, 0.000)
La (0.250, 0.500, 0.169)
La (0.500, 0.000, 0.000)
La (0.750, 0.500, 0.831)
Pm (0.000, 0.500, 0.500)
Pm (0.500, 0.500, 0.500)
Pr (0.250, 0.000, 0.333)
Pr (0.250, 0.500, 0.833)
Pr (0.750, 0.000, 0.667)
Pr (0.750, 0.500, 0.167)
Nd (0.250, 0.000, 0.664)
Nd (0.750, 0.000, 0.336)

Main lines, by angle (5° ≤ 2θ ≤ 70°):
d [Å], Position (°2θ), intensity
3.604, 24.70, 3.3
2.938, 30.43, 100.0
2.276, 39.60, 5.7
2.077, 43.57, 17.6
1.802, 50.66, 4.2
1.696, 54.06, 19.4
1.693, 54.16, 9.7
1.536, 60.27, 16.2
1.470, 63.26, 2.2
1.467, 63.42, 4.3

=====

Starting from a DFT-relaxed cell (PBE, Alexandria), the PXRD pattern of La2PmPrNd5 was simulated for copper Kα.
Intensities are scaled so that the largest is 100.

Structure:
a b c (Å): 10.327 10.327 10.327
angles (deg): 129.37 129.37 74.42
└──
3D Imaging
The work of Jones and Bae using a combination of fMRI and ultrasound technology led to ground breaking discoveries in a variety of fields including acupuncture. Dr. Jones developed a 50 MHz ultrasonic technique to digitize reflected signals from acupuncture points stimulated with an ultrasonic pulse. The results produced a 3D image of the size, shape and depth of the acupuncture points. Further, the effects of stimulating one acupuncture point on the changes in the size, shape and depth of other acupuncture points on the same acupuncture meridian were also measurable. Dr. Jones developed the ability to watch this process in realtime.
Calculated crystals from another source follow:
<<<
# 1
Starting from DFT lattice parameters and positions (PBE+U), the XRD peak list of Cr2FeNO8 was simulated for Cu Kα (weighted mean of Kα1 and Kα2).

The 10 most intense peaks (5 to 70 degrees two-theta), in order of rising 2θ:
- hkl 0 2 0, 2θ 11.13, rel. 100
- hkl 1 1 -1, 2θ 19.59, rel. 18
- hkl 1 1 1, 2θ 19.77, rel. 30
- hkl 1 3 -1, 2θ 25.24, rel. 23
- hkl 1 3 1, 2θ 25.40, rel. 32
- hkl 0 3 2, 2θ 26.75, rel. 27
- hkl 1 4 0, 2θ 27.48, rel. 25
- hkl 1 2 -2, 2θ 28.35, rel. 26
- hkl 1 2 2, 2θ 28.63, rel. 21
- hkl 2 0 0, 2θ 31.83, rel. 31

Atomic structure:
a = 5.6234 Å, b = 15.8969 Å, c = 8.5726 Å
α = 90.00°, β = 90.69°, γ = 90.00°
Space group P2_1 (No. 4)
Asymmetric unit:
Cr 0.0006 0.0000 0.2121 [2 per cell]
Cr 0.0132 0.3044 0.1107 [2 per cell]
Cr 0.4855 0.4642 0.3866 [2 per cell]
Cr 0.4971 0.7685 0.2915 [2 per cell]
Fe 0.0093 0.8325 0.4910 [2 per cell]
Fe 0.4904 0.9367 0.0121 [2 per cell]
N 0.0115 0.0925 0.7472 [2 per cell]
N 0.4861 0.6827 0.7520 [2 per cell]
O 0.0031 0.2759 0.3002 [2 per cell]
O 0.0065 0.9059 0.2978 [2 per cell]
O 0.0086 0.7226 0.9987 [2 per cell]
O 0.0139 0.5724 0.6580 [2 per cell]
O 0.2122 0.8695 0.9321 [2 per cell]
O 0.2245 0.4161 0.4236 [2 per cell]
O 0.2426 0.5061 0.9064 [2 per cell]
O 0.2458 0.7551 0.3967 [2 per cell]
O 0.2507 0.0132 0.1056 [2 per cell]
O 0.2612 0.2638 0.5887 [2 per cell]
O 0.2718 0.3538 0.0721 [2 per cell]
O 0.2914 0.8982 0.5697 [2 per cell]
O 0.4851 0.1953 0.8366 [2 per cell]
O 0.4906 0.8620 0.2037 [2 per cell]
O 0.4915 0.0460 0.5039 [2 per cell]
O 0.4984 0.4928 0.1972 [2 per cell]



# 2
Starting from DFT lattice parameters and positions (PBE+U), the XRD peak list of Cr2FeNO8 was simulated for Cu Kα (weighted mean of Kα1 and Kα2).

The 10 most intense peaks (5 to 70 degrees two-theta), in order of rising 2θ:
- hkl 0 2 0, 2θ 11.33, rel. 100
- hkl 1 1 0, 2θ 19.65, rel. 20
- hkl 1 1 -2, 2θ 19.96, rel. 34
- hkl 1 3 0, 2θ 25.47, rel. 23
- hkl 1 3 -2, 2θ 25.70, rel. 35
- hkl 0 3 2, 2θ 27.11, rel. 34
- hkl 1 4 -1, 2θ 27.83, rel. 28
- hkl 1 2 1, 2θ 28.54, rel. 30
- hkl 1 2 -3, 2θ 28.95, rel. 23
- hkl 2 0 -2, 2θ 31.90, rel. 29

Atomic structure:
a = 5.6116 Å, b = 15.6262 Å, c = 10.0938 Å
α = 90.00°, β = 122.77°, γ = 90.00°
Space group P2_1/c (No. 14)
Asymmetric unit:
Cr 0.0938 0.0809 0.3601 [4 per cell]
Cr 0.2071 0.1170 0.9613 [4 per cell]
Fe 0.4807 0.5541 0.7397 [4 per cell]
N 0.2636 0.7061 0.0013 [4 per cell]
O 0.0089 0.1615 0.2435 [4 per cell]
O 0.1494 0.6336 0.6418 [4 per cell]
O 0.2051 0.5341 0.1718 [4 per cell]
O 0.2713 0.0100 0.3203 [4 per cell]
O 0.2849 0.0193 0.0412 [4 per cell]
O 0.3023 0.1138 0.5497 [4 per cell]
O 0.3239 0.1256 0.8378 [4 per cell]
O 0.3624 0.1880 0.0976 [4 per cell]



# 3
Starting from DFT lattice parameters and positions (PBE+U), the XRD peak list of NaCr2FeO10 was simulated for Cu Kα (weighted mean of Kα1 and Kα2).

The 10 most intense peaks (5 to 70 degrees two-theta), in order of rising 2θ:
- hkl 2 0 -1, 2θ 17.55, rel. 99
- hkl 2 0 0, 2θ 18.30, rel. 41
>>>
End of the calculated crystals:
The work of Jones and Bae combined ultrasound with fMRI investigations into the effects of acupuncture on the brain. It took 101 computers operating simultaneously to measure the results from an acupuncture point stimulated during the acquisition of the data. Each 3 second snapshot of acupuncture point stimulation produces a half terabyte of data. The results were somewhat surprising.
The findings are as follows. Quantitative ultrasound methods can image acupuncture points. Ultrasound at higher intensities can stimulate acupuncture points in much the same way as do acupuncture needles. In some cases, the stimulation levels were indistinguishable between acupuncture needling and ultrasound stimulation when measuring cortical responses. The acupuncture points actually twist around needles as they are stimulated. Acupuncture points can change in size, shape and location over short periods of time. Dr. Jones and his colleagues presented this material to the Annual Meeting of SSE in La Jolla, California in 2001 and then at the University of Virginia in 2002. Next, the results were published in Medical Acupuncture in 2004 and then in Acoustical Imaging in 2004 as well.
Dr. Jones and Dr. Bae delineated three pathways by which acupuncture sends signals to the brain using fMRI measurements. The very fast signal is less than or equal to 0.8ms, another signal travels along nerve pathways and arrives at the brain in 180 – 200ms and a very slow signal arrives at the brain in 15 – 25 seconds as measured from stimulation of acupuncture point UB67 on the foot. The very slow signal travels at a rate of 5 – 10 cm per second. The stimulation process communicates to other acupuncture points along the meridian at this rate. Some subjects could physically sense this process, sometimes referred to as the stimulation of Qi.
Discovery: Speed
The initial time between ultrasonic stimulation of an acupuncture point and brain activity is less than or equal to 0.8ms. Dr. Jones noted that this is two orders of magnitude faster than any other known process. If a non-acupuncture point is stimulated, this rapid response is not observed. If one stimulates a true acupuncture point, the speed is less than or equal to 0.8ms, which is incredibly fast and unequalled. Only acupuncture points carry information at this speed.
Dr. Jones and Dr. Bae measured acupuncture point specificity. The first studies were conducted from 1996 to 1998. The team compared acupuncture point stimulation at UB67 with flashes of light to the eyes. Subjects first received acupuncture point stimulation to UB67 while blindfolded. The fMRI measurements showed that the visual cortices of the brain lit up from the acupuncture point stimulation. Next, subjects were not blindfolded, did not receive point stimulation but instead were exposed to flashes of light to the eyes. The same visual cortex response occurred in both cases. Stimulation of acupuncture point UB67 and light stimulation produced the same effects on the brain. Stimulation of non-acupuncture points did not produce this effect. UB67 has been indicated for the treatment of eye disorders within the Traditional Chinese Medicine (TCM) system for over 1,000 years. The work of Dr. Jones brought this traditional indication into the realm of the modern scientific paradigm.
## These records of crystals were left in the article by mistake
~~~
(1)
Structure and calculated powder diffractogram of MgH6S2O3 (the GGA-PBE geometry in the Materials Project; λ = 1.5418 Å (Cu Kα)).

Top 10 peaks for 10° ≤ 2θ ≤ 80°, in order of falling intensity:
2θ (°)	I/Imax
10.51	100
21.53	41
21.11	36
18.74	34
16.02	19
23.86	15
31.33	15
19.47	14
28.37	12
39.85	9

a b c (Å): 16.838 8.048 5.856
angles (deg): 90.00 90.00 90.00
Space group Pnma (No. 62)
Unique sites:
Mg (0.000, 0.000, 0.000) x4
H (0.173, 0.132, 0.158) x8
H (0.223, 0.038, 0.608) x8
H (0.244, 0.596, 0.144) x8
S (0.017, 0.750, 0.701) x4
S (0.191, 0.250, 0.005) x4
O (0.035, 0.093, 0.297) x8
O (0.044, 0.750, 0.967) x4

=====

(2)
Structure and calculated powder diffractogram of MgH12S2O12 (the GGA-PBE geometry in the Materials Project; λ = 1.5418 Å (Cu Kα)).

Top 10 peaks for 10° ≤ 2θ ≤ 80°, in order of falling intensity:
2θ (°)	I/Imax
18.27	100
14.74	85
23.70	39
15.10	29
11.93	27
24.62	18
35.91	18
18.41	16
28.75	16
39.36	15

a b c (Å): 7.635 7.773 7.812
angles (deg): 100.96 98.98 98.24
Space group P-1 (No. 2)
Unique sites:
Mg (0.000, 0.000, 0.000) x1
H (0.150, 0.069, 0.525) x2
H (0.157, 0.128, 0.460) x2
H (0.179, 0.643, 0.284) x2
H (0.292, 0.713, 0.156) x2
H (0.454, 0.086, 0.439) x2
H (0.483, 0.934, 0.740) x2
S (0.481, 0.541, 0.627) x2
O (0.108, 0.869, 0.805) x2
O (0.233, 0.603, 0.182) x2
O (0.259, 0.976, 0.086) x2
O (0.270, 0.887, 0.915) x2
O (0.294, 0.464, 0.641) x2
O (0.438, 0.897, 0.612) x2

=====

(3)
Structure and calculated powder diffractogram of MgH10SO9 (the GGA-PBE geometry in the Materials Project; λ = 1.5418 Å (Cu Kα)).

Top 10 peaks for 10° ≤ 2θ ≤ 80°, in order of falling intensity:
2θ (°)	I/Imax
17.95	100
17.16	54
24.03	53
15.24	52
29.34	47
27.19	47
32.91	42
30.42	41
25.35	33
15.88	26

a b c (Å): 6.119 6.324 10.641
angles (deg): 76.01 81.52 70.00
Space group P-1 (No. 2)
Unique sites:
Mg (0.000, 0.000, 0.000) x1
Mg (0.000, 0.500, 0.500) x1
H (0.092, 0.309, 0.110) x2
H (0.099, 0.163, 0.704) x2
H (0.183, 0.639, 0.871) x2
H (0.233, 0.779, 0.512) x2
H (0.265, 0.595, 0.647) x2
H (0.273, 0.106, 0.378) x2
H (0.276, 0.927, 0.298) x2
H (0.350, 0.146, 0.630) x2
H (0.360, 0.173, 0.878) x2
H (0.444, 0.898, 0.893) x2
S (0.340, 0.529, 0.213) x2
O (0.036, 0.745, 0.902) x2
O (0.159, 0.677, 0.577) x2
O (0.173, 0.766, 0.170) x2
O (0.180, 0.196, 0.619) x2
O (0.272, 0.438, 0.350) x2
O (0.313, 0.033, 0.910) x2
O (0.340, 0.373, 0.129) x2
O (0.341, 0.943, 0.373) x2
O (0.421, 0.451, 0.793) x2

=====

(4)
Structure and calculated powder diffractogram of MgH12SO9 (the GGA-PBE geometry in the Materials Project; λ = 1.5418 Å (Cu Kα)).

Top 10 peaks for 10° ≤ 2θ ≤ 80°, in order of falling intensity:
2θ (°)	I/Imax
11.70	100
19.87	65
11.48	59
12.06	51
21.35	25
20.51	23
25.45	15
23.08	15
31.21	13
22.18	12

a b c (Å): 5.379 8.518 8.880
angles (deg): 62.91 77.69 88.20
Space group P1 (No. 1)
Unique sites:
Mg (0.000, 0.000, 0.000) x1
H (0.017, 0.103, 0.218) x1
H (0.079, 0.902, 0.317) x1
H (0.100, 0.273, 0.299) x1
H (0.192, 0.296, 0.531) x1
H (0.220, 0.369, 0.097) x1
~~~
Shift in Thinking
Five nobel prize winners wrote supportive reviews on the quality of the research. Despite this, Science refused to review the research and Nature refused to publish it although the Tokyo editor noted that the research was fascinating. Some of the pushback on the work of Dr. Jones occurs because it fundamentally shifts the scientific paradigm. The conventional community does not readily accept science that is ultimately ahead of its time. We can only hope that other brave scientists will continue this type of groundbreaking work made possible by Dr. Jones.